NYC Intent to Distribute Lawyers
Drug crimes are some of the most commonly committed and most heavily prosecuted crimes in the state of New York. Drug use poses a serious risk to public health and can lead to other crimes. Of the forty drug-related crimes outlined in New York’s penal code, drug distribution is one of the most serious. When you distribute drugs unlawfully, you are considered to be a drug dealer.
Sometimes, you’ll be found with a small amount of illegal drugs on your person. Law enforcement might charge you with drug possession, but they will not level a charge of selling against you because it seems likely that the drugs were for your own personal use. But if you’re found to possess a large number of drugs, law enforcement might suspect that you intend to distribute these drugs. In these cases, you will be charged with “possession with the intent to distribute” rather than just a possession charge. There will also be a drug selling charge leveled on top of that.
There are other circumstances in which intent to distribute charges and drug selling charges might be leveled simultaneously against a defendant. One of these is when a defendant is caught in the ct of selling drugs. The double charge matters because each of these charges is a felony on its own. If you’re convicted of the offense, your record will then have two felony drug convictions on it.
You need to talk to a New York lawyer as soon as you’re accused of the intent to distribute. Spodek Law Group has more than forty years of experience with navigating the criminal justice system, providing the best defenses, and helping you understand your options.
About an Intent to Sell Charge
Intent to sell has a specific definition in New York’s laws and penal codes. This charge will be leveled against you when you possess a controlled substance illegally and you intend to sell it. The actual sale does not need to take place for the charge to apply.
Intent to sell is usually determined by law enforcement officials when you have a significant amount of the drug, or when you’re caught actually selling the drug to another person. With certain drugs, the severity of the charge is based around the amount of the drug that you actually have. In other circumstances, the charge will vary based on the amount that you either sold or intended to sold.
The amounts defined in New York law are as follows:
- Any amounts of controlled substances
- Any amounts of narcotic drugs
- Any amounts of a hallucinogenic substance, hallucinogen, or stimulant, provided that you’ve previously been convicted of a crime related to controlled substances
- One gram or higher of a stimulant
- Twenty-five or more milligrams of hallucinogens
- One or more grams of hallucinogenic substances
- 1/8 ounce or at least one preparation or substance that contains methamphetamine
# Unrelated to this piece: data records
- - -
(1)
The following is a simulated PXRD pattern of NpAgSeO5. It was derived from a DFT-relaxed cell (PBE, the Materials Project), using Cu Kα X-rays.
Intensities are scaled so that the largest is 100.

Most intense lines, 10 to 80 degrees two-theta, in order of rising 2θ:
- hkl 1 0 0, 2θ 12.92, rel. 21
- hkl 0 2 0, 2θ 21.57, rel. 71
- hkl 1 2 0, 2θ 22.55, rel. 34
- hkl 0 1 2, 2θ 24.53, rel. 24
- hkl 2 0 1, 2θ 25.83, rel. 17
- hkl 1 0 -2, 2θ 27.64, rel. 70
- hkl 2 0 2, 2θ 29.93, rel. 100
- hkl 0 2 -2, 2θ 30.08, rel. 99
- hkl 2 -1 0, 2θ 30.41, rel. 25
- hkl 1 0 4, 2θ 42.91, rel. 31

```
data_NpAgSeO5
_cell_length_a 7.212
_cell_length_b 8.455
_cell_length_c 8.459
_cell_angle_alpha 89.35
_cell_angle_beta 77.35
_cell_angle_gamma 77.09
_space_group_name_H-M_alt 'P -1'
_space_group_IT_number 2
_space_group_name_Hall '-P 1'
loop_
_atom_site_label
_atom_site_type_symbol
_atom_site_fract_x
_atom_site_fract_y
_atom_site_fract_z
_atom_site_occupancy
Np1 Np 0.004 0.244 0.243 1
Np2 Np 0.113 0.718 0.237 1
Ag1 Ag 0.311 0.975 0.492 1
Ag2 Ag 0.383 0.905 0.900 1
Se1 Se 0.349 0.288 0.847 1
Se2 Se 0.406 0.369 0.383 1
O1 O 0.007 0.533 0.777 1
O2 O 0.022 0.017 0.271 1
O3 O 0.088 0.706 0.464 1
O4 O 0.134 0.735 0.010 1
O5 O 0.238 0.210 0.712 1
O6 O 0.281 0.173 0.015 1
O7 O 0.295 0.215 0.341 1
O8 O 0.353 0.745 0.673 1
O9 O 0.386 0.489 0.221 1
O10 O 0.412 0.820 0.221 1
```

(2)
The following is a simulated PXRD pattern of AgO. It was derived from a DFT-relaxed cell (PBE, the Materials Project), using Cu Kα X-rays.
Intensities are scaled so that the largest is 100.

Most intense lines, 10 to 80 degrees two-theta, in order of rising 2θ:
- hkl 1 1 1, 2θ 31.51, rel. 100
- hkl 0 0 2, 2θ 31.91, rel. 17
- hkl 0 2 0, 2θ 37.47, rel. 11
- hkl 2 0 0, 2θ 39.84, rel. 10
- hkl 0 2 2, 2θ 50.02, rel. 17
- hkl 2 0 2, 2θ 51.92, rel. 15
- hkl 2 2 0, 2θ 55.84, rel. 12
- hkl 1 1 3, 2θ 56.61, rel. 18
- hkl 1 3 1, 2θ 63.90, rel. 12
- hkl 3 1 1, 2θ 67.16, rel. 10

```
data_AgO
_cell_length_a 4.525
_cell_length_b 4.800
_cell_length_c 5.609
_cell_angle_alpha 90.00
_cell_angle_beta 90.00
_cell_angle_gamma 90.00
_space_group_name_H-M_alt 'C c c m'
_space_group_IT_number 66
_space_group_name_Hall '-C 2 2c'
loop_
_atom_site_label
_atom_site_type_symbol
_atom_site_fract_x
_atom_site_fract_y
_atom_site_fract_z
_atom_site_occupancy
Ag1 Ag 0.250 0.250 0.000 1
O1 O 0.000 0.000 0.250 1
```

* * * * *

Record 1
Y3Ni19B10: calculated powder diffraction line list (Cu Kα, 1.54184 Å), based on a cell relaxed with GGA-PBE.
Peak positions follow from Bragg's law for the DFT cell and can differ from measured ones.

Most intense lines, 2θ from 10° to 90°, by angle:
2.351 Å, 2θ 38.28, rel. 47; 2.249 Å, 2θ 40.10, rel. 79; 2.185 Å, 2θ 41.33, rel. 100; 1.964 Å, 2θ 46.23, rel. 39; 1.926 Å, 2θ 47.19, rel. 50; 1.871 Å, 2θ 48.67, rel. 43

Atomic structure:
abc: 7.908 7.908 5.779
angles: 91.16 91.16 67.08
Atoms (fractional coordinates):
Y  0.000  0.000  0.000
Y  0.374  0.374  0.614
Y  0.626  0.626  0.386
- - -
# End of the data records
Two possession with intent crimes have been outlined: fifth degree intent to sell and third degree intent to sell. The fifth degree intent to sell is considered a class D felony, which means it carries a maximum penalty of seven years in prison. Third degree intent to sell is considered a class B felony, which carries maximum penalties of twenty-five years in prison.
You might also be charged with intent to sell if law enforcement officials find both drugs and drug paraphernalia during their search. Drug paraphernalia is any paraphernalia that is used in the packaging and distribution of drugs. It’s considered a sign that selling is the defendant’s intention.